____________
1.
139
Properties=species:S:1:pos:R:3:forces:R:3:lowdin_charge:R:1 method="wB97M-V/def2-TZVPD" total_charge=+1 lumo_energy_ev=-4.73 gap_ev=6.22
C 1.896648 -0.121969 2.475395 -0.1 0.0 0.2 0.103
C 1.847869 0.508698 1.299422 0.0 -0.6 0.4 -0.090
C 0.947280 -0.112095 0.288592 0.5 0.3 -0.3 -0.092
C -0.362364 0.339800 0.192129 -0.1 -0.4 -1.3 0.034
C -0.889779 1.417765 1.091544 -0.2 -0.1 0.3 -0.470
O -1.364461 1.061169 2.131461 -0.1 -0.4 0.9 0.156
O -0.875401 2.686069 0.771577 0.2 -0.1 -0.7 0.144
C -0.254191 3.048188 -0.477551 -0.2 0.7 0.0 -0.173
O -0.681375 4.338407 -0.747531 0.8 -0.5 -0.3 -0.029
C 0.390501 5.236741 -0.976056 -0.6 1.3 -0.1 -0.233
O 0.568449 6.028089 0.146928 0.4 0.1 -0.3 -0.061
C 1.935821 6.258408 0.465043 0.3 -0.5 0.8 -0.171
C 2.450064 5.128261 1.380404 -1.0 -0.2 -0.6 -0.217
O 1.391223 4.740134 2.245928 0.1 0.2 0.1 -0.062
C -1.222501 -0.258345 -0.758023 0.2 0.0 0.3 -0.101
C -2.626198 0.293231 -0.858265 0.3 0.4 0.5 -0.105
C -3.504773 -0.061230 0.375844 -0.3 0.0 -0.5 -0.154
C -4.913248 -0.603286 0.038099 0.2 0.3 0.8 -0.222
C -6.005037 0.419647 0.371716 0.2 -0.1 -0.2 -0.100
C -0.755949 -1.321374 -1.533891 -1.0 0.8 -0.4 -0.208
P -1.937560 -2.132594 -2.762730 0.4 -2.2 -1.3 0.944
C -2.245511 -0.858690 -4.046037 0.5 0.9 1.2 -0.210
O -3.353089 -2.389102 -1.995781 0.4 0.8 0.3 -0.265
N 0.549701 -1.774662 -1.381639 -0.6 1.2 0.5 -0.068
S 1.224871 -3.109001 -2.234661 0.5 -3.8 -0.7 0.774
O 0.354474 -3.792189 -3.118665 -0.4 1.2 -0.3 -0.262
O 1.856631 -3.989800 -1.305120 0.3 1.3 0.9 -0.205
C 2.578053 -2.427033 -3.354128 -0.9 1.6 0.0 -0.646
F 3.770329 -2.724006 -2.913286 0.1 -0.2 0.0 0.204
F 2.370095 -2.887257 -4.564772 0.3 -0.4 0.0 0.186
F 2.420806 -1.087945 -3.412014 0.2 -0.1 0.1 0.136
C 1.397625 -1.152387 -0.500635 0.5 -0.6 0.3 -0.015
B 2.963009 -1.490248 -0.191099 0.3 0.2 -0.5 -0.526
C 4.051800 -0.561684 -0.837964 -0.6 -0.1 -0.1 0.015
O 3.316722 -2.524948 0.581566 -0.1 -0.1 0.2 0.177
H 2.114505 0.404195 3.395206 0.9 -0.1 -0.1 0.082
H 1.670526 -1.193449 2.565470 -0.6 0.7 0.1 0.064
H 2.399193 1.419147 1.084067 -0.7 0.4 0.1 0.108
H -0.585380 2.423348 -1.310024 -0.2 -0.4 0.3 0.124
H 0.826328 2.986536 -0.341003 0.1 0.1 0.1 0.120
H 0.075383 5.885639 -1.799376 -0.2 -0.1 -0.1 0.145
H 1.310360 4.737751 -1.294931 0.0 -0.3 0.2 0.129
H 2.064575 7.201392 0.981780 -0.6 0.1 -0.1 0.093
H 2.543180 6.327141 -0.437721 0.1 0.0 0.0 0.116
H 2.675973 4.263981 0.755435 0.6 0.1 0.1 0.082
H 3.310381 5.471414 1.944993 0.2 -0.1 0.0 0.103
H 1.586625 3.862545 2.596901 0.0 0.0 0.2 0.045
H -2.506658 1.377676 -0.839338 0.0 0.1 -0.3 0.115
H -3.114488 0.074857 -1.798428 0.0 -0.2 0.0 0.092
H -2.968275 -0.725363 1.046618 -0.1 -0.2 -0.3 0.071
H -3.651276 0.853633 0.942381 0.1 0.1 0.1 0.105
H -5.060983 -1.488119 0.655455 -0.1 -0.2 -0.1 0.101
H -4.975897 -0.901846 -1.001874 0.0 -0.1 -0.1 0.083
H -6.944046 -0.058810 0.622689 -0.2 0.0 -0.2 0.060
H -5.752638 1.035824 1.232809 0.1 -0.1 0.1 0.065
H -6.148978 1.096812 -0.469101 -0.2 0.1 0.0 0.078
H -3.313952 -0.725700 -4.186274 -0.1 -0.1 -0.2 0.066
H -1.819809 0.089110 -3.706509 -0.2 0.2 -0.2 0.033
H -1.730940 -1.126860 -4.962162 -0.2 -0.3 -0.2 0.020
H -3.266962 -3.273139 -1.607357 -0.3 0.0 0.2 0.064
H 4.846551 -1.119425 -1.328954 0.2 -0.1 0.3 0.075
H 4.456330 0.113706 -0.087783 0.2 0.0 0.0 0.091
H 3.599285 0.068646 -1.596454 0.0 0.2 0.0 0.036
H 2.558744 -3.023357 0.915054 0.1 -0.1 0.1 0.080
O 0.734352 2.560798 3.872261 0.0 -0.1 -0.1 -0.042
H 0.134839 1.936891 3.445035 -0.1 0.0 0.1 0.009
H 0.181316 3.328611 4.062218 0.0 0.0 0.1 0.066
O 4.272584 -1.061588 4.486841 0.0 0.0 -0.1 -0.051
H 4.296205 -1.734041 5.175269 0.0 0.0 0.0 0.043
H 4.614148 -1.511473 3.707753 0.0 0.0 0.0 0.030
O 3.192166 -5.758129 1.454938 -0.1 0.6 0.0 -0.028
H 2.646183 -6.021692 0.705937 0.0 -0.2 0.1 0.057
H 3.905241 -5.235288 1.063112 0.2 -0.2 0.0 0.027
O 3.311970 2.570405 -0.625989 -0.1 0.0 -0.3 -0.048
H 2.732090 2.357892 -1.364839 0.1 0.0 -0.1 0.044
H 3.974585 3.157232 -1.013137 0.1 0.0 0.2 0.075
O -8.554606 1.662473 1.632042 -0.3 0.0 0.0 -0.063
____________
The reader should quote the lines further above up to the one that holds "-0.526", that line included.
1.
139
Properties=species:S:1:pos:R:3:forces:R:3:lowdin_charge:R:1 method="wB97M-V/def2-TZVPD" total_charge=+1 lumo_energy_ev=-4.73 gap_ev=6.22
C 1.896648 -0.121969 2.475395 -0.1 0.0 0.2 0.103
C 1.847869 0.508698 1.299422 0.0 -0.6 0.4 -0.090
C 0.947280 -0.112095 0.288592 0.5 0.3 -0.3 -0.092
C -0.362364 0.339800 0.192129 -0.1 -0.4 -1.3 0.034
C -0.889779 1.417765 1.091544 -0.2 -0.1 0.3 -0.470
O -1.364461 1.061169 2.131461 -0.1 -0.4 0.9 0.156
O -0.875401 2.686069 0.771577 0.2 -0.1 -0.7 0.144
C -0.254191 3.048188 -0.477551 -0.2 0.7 0.0 -0.173
O -0.681375 4.338407 -0.747531 0.8 -0.5 -0.3 -0.029
C 0.390501 5.236741 -0.976056 -0.6 1.3 -0.1 -0.233
O 0.568449 6.028089 0.146928 0.4 0.1 -0.3 -0.061
C 1.935821 6.258408 0.465043 0.3 -0.5 0.8 -0.171
C 2.450064 5.128261 1.380404 -1.0 -0.2 -0.6 -0.217
O 1.391223 4.740134 2.245928 0.1 0.2 0.1 -0.062
C -1.222501 -0.258345 -0.758023 0.2 0.0 0.3 -0.101
C -2.626198 0.293231 -0.858265 0.3 0.4 0.5 -0.105
C -3.504773 -0.061230 0.375844 -0.3 0.0 -0.5 -0.154
C -4.913248 -0.603286 0.038099 0.2 0.3 0.8 -0.222
C -6.005037 0.419647 0.371716 0.2 -0.1 -0.2 -0.100
C -0.755949 -1.321374 -1.533891 -1.0 0.8 -0.4 -0.208
P -1.937560 -2.132594 -2.762730 0.4 -2.2 -1.3 0.944
C -2.245511 -0.858690 -4.046037 0.5 0.9 1.2 -0.210
O -3.353089 -2.389102 -1.995781 0.4 0.8 0.3 -0.265
N 0.549701 -1.774662 -1.381639 -0.6 1.2 0.5 -0.068
S 1.224871 -3.109001 -2.234661 0.5 -3.8 -0.7 0.774
O 0.354474 -3.792189 -3.118665 -0.4 1.2 -0.3 -0.262
O 1.856631 -3.989800 -1.305120 0.3 1.3 0.9 -0.205
C 2.578053 -2.427033 -3.354128 -0.9 1.6 0.0 -0.646
F 3.770329 -2.724006 -2.913286 0.1 -0.2 0.0 0.204
F 2.370095 -2.887257 -4.564772 0.3 -0.4 0.0 0.186
F 2.420806 -1.087945 -3.412014 0.2 -0.1 0.1 0.136
C 1.397625 -1.152387 -0.500635 0.5 -0.6 0.3 -0.015
B 2.963009 -1.490248 -0.191099 0.3 0.2 -0.5 -0.526